예제 #1
def grid_error():
    Perform grid error study for routing given real weather.

____________
Record 1
A plane-wave DFT calculation with meta-GGA r2SCAN was carried out for a relaxed LiVF4 crystal.

Properties
- Formation enthalpy at 0 K: -3.2340 eV/atom
- Crystal system: orthorhombic
- Space group: Pbcn, No. 60
- Size of the total moment: 8.00 μB per cell
- Polymorph energy (0 for the lowest one): 6 meV/atom

Geometry as POSCAR:
```
LiVF4
1.0
-1.520 3.751 2.112
-4.314 0.255 -3.557
-5.414 -5.663 6.160
F Li V
16 4 4
direct
0.279 0.019 0.340 F
0.228 0.773 0.080 F
0.221 0.519 0.340 F
0.728 0.273 0.420 F
0.779 0.519 0.160 F
0.772 0.227 0.920 F
0.721 0.981 0.660 F
0.272 0.727 0.580 F
0.728 0.727 0.920 F
0.779 0.481 0.660 F
0.721 0.019 0.160 F
0.279 0.981 0.840 F
0.228 0.227 0.580 F
0.221 0.481 0.840 F
0.272 0.273 0.080 F
0.772 0.773 0.420 F
0.000 0.811 0.250 Li
0.000 0.189 0.750 Li
0.500 0.311 0.250 Li
0.500 0.689 0.750 Li
0.500 0.000 0.000 V
0.000 0.500 0.000 V
0.000 0.500 0.500 V
0.500 0.000 0.500 V
```

Record 2
A plane-wave DFT calculation with meta-GGA r2SCAN was carried out for a relaxed DySi2Ni crystal.

Properties
- Formation enthalpy at 0 K: -0.8776 eV/atom
- Crystal system: orthorhombic
- Space group: Cmcm, No. 63
- Size of the total moment: 0.00 μB per cell

Geometry as POSCAR:
```
DySi2Ni
1.0
3.944 0.000 0.000
0.000 3.875 -0.936
0.000 -0.020 8.403
Si Dy Ni
4 2 2
direct
0.750 0.460 0.919 Si
0.250 0.250 0.500 Si
0.750 0.750 0.500 Si
0.250 0.540 0.081 Si
0.250 0.894 0.788 Dy
0.750 0.106 0.212 Dy
0.250 0.678 0.356 Ni
0.750 0.322 0.644 Ni
```

Record 3
A plane-wave DFT calculation with meta-GGA r2SCAN was carried out for a relaxed YAsS crystal.

Properties
- Formation enthalpy at 0 K: -1.7855 eV/atom
- Crystal system: orthorhombic
- Space group: Pnma, No. 62
- Size of the total moment: 0.00 μB per cell

Geometry as POSCAR:
```
YAsS
1.0
-2.813 0.270 -2.567
2.184 -1.857 -2.588
-6.300 -14.858 5.343
As S Y
4 4 4
direct
0.250 0.287 0.002 As
0.750 0.713 0.998 As
0.250 0.213 0.502 As
0.750 0.787 0.498 As
0.250 0.736 0.813 S
0.250 0.764 0.313 S
0.750 0.236 0.687 S
0.750 0.264 0.187 S
0.250 0.733 0.646 Y
0.750 0.233 0.854 Y
0.250 0.767 0.146 Y
0.750 0.267 0.354 Y
```

Record 4
A plane-wave DFT calculation with meta-GGA r2SCAN was carried out for a relaxed Ba2ThS6 crystal.

Properties
- Formation enthalpy at 0 K: -1.8810 eV/atom
- Crystal system: tetragonal
- Space group: P4_2/nmc, No. 137
- Size of the total moment: 0.00 μB per cell

Geometry as POSCAR:
```
Ba2ThS6
1.0
5.539 0.000 0.000
0.000 5.539 0.000
0.000 0.000 16.153
S Ba Th
12 4 2
direct
0.500 0.312 0.832 S
0.312 0.500 0.168 S
0.500 0.688 0.832 S
0.500 0.000 0.026 S
0.000 0.812 0.668 S
0.812 0.000 0.332 S
0.500 0.000 0.526 S
0.000 0.500 0.974 S
0.000 0.188 0.668 S
0.000 0.500 0.474 S
0.688 0.500 0.168 S
0.188 0.000 0.332 S
0.000 0.000 0.863 Ba
0.500 0.500 0.363 Ba
0.000 0.000 0.137 Ba
0.500 0.500 0.637 Ba
0.000 0.000 0.500 Th
0.500 0.500 0.000 Th
```

Record 5
A plane-wave DFT calculation with meta-GGA r2SCAN was carried out for a relaxed Hf5Ir3 crystal.

Properties
____________
**Here the piece continues:**

    Return a plot of the difference between results as a function
    of grid error.
    tahiti = Location(-149.426, -17.651)
    hawaii = Location(-157.92, 21.83)
    fm = gen_env_model()
    craft = tong_uncertain(1.0, 1.0, fm)
    wind_fname = pp + "analysis/poly_data/data_dir/wind_forecast.nc"
    waves_fname = pp + "analysis/poly_data/data_dir/wave_data.nc"
    diagram_path = pp + "analysis/poly_data"
    sd = datetime(1976, 5, 1, 0, 0)
    dist, bearing = haversine(tahiti.long, tahiti.lat, hawaii.long,
    nodes = np.array([10])
    times = []
    h_vals = []
    for count, node in enumerate(nodes):
        node_distance = dist/node
        r = Route(tahiti, hawaii, node, node,
                  node_distance*1000.0, craft)
        x, y, land = return_co_ords(r.start.long, r.finish.long,
                                    r.start.lat, r.finish.lat,
                                    r.n_ranks, r.n_width, r.d_node)
        tws, twd = process_wind(wind_fname, x, y)
        wd, wh, wp = process_waves(waves_fname, x, y)
예제 #2
def run_single(n, d=30000):
    """Run multiple simulations for example scenario."""
    start = Location(-14.0, 47.0)
    finish = Location(-6.0, 47.0)
    craft = return_boat_perf()
    no_nodes = n
    r = Route(start, finish, no_nodes, no_nodes, d, craft)
    wind_fname = "/Users/thomasdickson/Documents/sail_routing/routing/domain_application/data_dir/wind_forecast.nc"
    diagram_path = "/Users/thomasdickson/Documents/python_routing/analysis/output/multiple"
    time = datetime(2014, 7, 1, 0, 0)
    x, y, land = return_co_ords(r.start.long, r.finish.long, r.start.lat,
                                r.finish.lat, r.n_ranks, r.n_width, r.d_node)
    jt, et, pf_vals = min_time_calculate(r, wind_fname, time, craft)
    plot_route(time, r, x, y, et, jt, pf_vals,
               diagram_path + "/single_route_%.0f_%.0f.png" % (n, d))
    return jt, et, pf_vals
예제 #3
def run_simulation():
    start = Location(-14.0, 47.0)
    finish = Location(-6.0, 47.0)
    craft = return_boat_perf()
    no_nodes = 10
    r = Route(start, finish, no_nodes, no_nodes, 30000.0, craft)
    wind_fname = "/Users/thomasdickson/Documents/sail_routing/routing/domain_application/data_dir/wind_forecast.nc"
    diagram_path = "/Users/thomasdickson/Documents/python_routing/analysis/output/multiple"
    t = datetime(2014, 7, 1, 0, 0)
    x, y, land = return_co_ords(r.start.long, r.finish.long, r.start.lat,
                                r.finish.lat, r.n_ranks, r.n_width, r.d_node)
    jt, et, pf_vals = min_time_calculate(r, wind_fname, time, craft)
    vt = datetime.fromtimestamp(jt) - t
    print("Journey time is: ", vt)
    plot_route(time, r, x, y, et, jt, pf_vals,
               diagram_path + "/single_route.png")
예제 #4
def run_uncertain_performance_simulation():
    """Run routing simulations for a given day with uncertain performance."""
    start = Location(-149.426, -17.651)
    finish = Location(-157.92, 21.83)
    start_date = datetime(1976, 5, 1, 0, 0)
    n_nodes = 150
    n_width = n_nodes
    print("Nodes in rank: ", n_nodes)
    print("Nodes in width: ", n_width)
    dist, bearing = haversine(start.long, start.lat, finish.long, finish.lat)
    node_distance = 2000 * dist / n_width
    print("Node height distance is ", dist / n_nodes * 1000, " m")
    print("Node width distance is ", node_distance, " m")
    area = node_distance * dist / n_nodes * 1000
    total_area = n_nodes * n_width * area
    h = (1 / (n_nodes * n_width) * total_area)**0.5
    print("h = {0} ".format(h))
    pyroute_path = "/Users/thomasdickson/Documents/python_routing/"
    wind_fname = pyroute_path + "analysis/poly_data/data_dir/finney_wind_forecast.nc"
    waves_fname = pyroute_path + "analysis/poly_data/data_dir/finney_wave_data.nc"
    dia_path = pyroute_path + "analysis/poly_data/finney_sims"
    unc = np.linspace(0.95, 1.05, 3)
    results = np.zeros_like(unc)
    route_x = []
    route_y = []
    fm = gen_env_model()
    for n, i in enumerate(unc):
        craft = tong_uncertain(i, 1.0, fm)
        r = Route(start, finish, n_nodes, n_width, node_distance, craft)
        x, y, land = return_co_ords(r.start.long, r.finish.long, r.start.lat,
                                    r.finish.lat, r.n_ranks, r.n_width,
        tws, twd = process_wind(wind_fname, x, y)
        wd, wh, wp = process_waves(waves_fname, x, y)
        jt, et, x_r, y_r = min_time_calculate(r, start_date, craft, x, y, land,
                                              tws, twd, wd, wh, wp)
        vt = datetime.fromtimestamp(jt) - start_date
        results[n] = vt.total_seconds() / (60.0 * 60.0)
        print(results[n] / 24)
    plot_uncertainty(unc, results)
    plt.savefig(dia_path + "/unc_vt_test_" + str(h) + ".png")
    plot_uncertain_routes(start, r, x, y, unc, route_x, route_y, results)
    plt.savefig(dia_path + "/unc_vt_routes_test_" + str(h) + ".png")
예제 #5
def run_simulation_over_days():
    """Run routing simulations between tahiti and marquesas."""
    tahiti = Location(-149.426, -17.651)
    hawaii = Location(-157.92, 21.83)
    fm = gen_env_model()
    craft = tong_uncertain(1.0, 1.0, fm)
    n_nodes = 40
    n_width = n_nodes
    print("Nodes in rank: ", n_nodes)
    print("Nodes in width: ", n_width)
    dist, bearing = haversine(tahiti.long, tahiti.lat, hawaii.long,
    node_distance = 4000*dist/n_width
    print("Node height distance is ", dist/n_nodes*1000, " m")
    print("Node width distance is ", node_distance, " m")
    area = node_distance*dist/n_nodes*1000
    total_area = n_nodes * n_width * area
    h = (1/(n_nodes * n_width) * total_area)**0.5
    print("h = {0} ".format(h))
    r = Route(tahiti, hawaii, n_nodes, n_width,
              node_distance, craft)
    wind_fname = pp + "analysis/poly_data/data_dir/finney_wind_forecast.nc"
    waves_fname = pp + "analysis/poly_data/data_dir/finney_wave_data.nc"
    dia_path = pp + "analysis/poly_data/finney_sims/"
    sd = datetime(1976, 5, 1, 0, 0)
    ed = datetime(1976, 5, 2, 0, 0)
    dt = [d for d in datetime_range(sd, ed, {'days': 1, 'hours': 0})]
    for t in dt:
        x, y, land = return_co_ords(r.start.long, r.finish.long,
                                    r.start.lat, r.finish.lat,
                                    r.n_ranks, r.n_width, r.d_node)
        tws, twd = process_wind(wind_fname, x, y)
        wd, wh, wp = process_waves(waves_fname, x, y)
        jt, et, x_r, y_r = min_time_calculate(r, t, craft,
                                              x, y, land,
                                              tws, twd, wd, wh, wp)
        vt = datetime.fromtimestamp(jt) - t
        print("Journey time is: ", vt)
        fill = 10
        string = str(t)+"_"+str(craft.apf)+"_"+str(craft.unc)+"_"+str(n_nodes)
        plot_mt_route(t, r, x, y, x_r, y_r,
                      et, jt, fill,
예제 #6
def reliability_uncertainty_routing():
    """Routing for a range of uncertainty and reliability levels."""
    rel_levels = np.array([0.81, 0.91, 1.0])
    unc_levels = np.array([0.95, 1.0, 1.05])
    test_matrix = np.array(np.meshgrid(rel_levels,
                                       unc_levels)).T.reshape(-1, 2)
    fts = []
    start = Location(-2.3700, 50.256)
    finish = Location(-61.777, 17.038)
    fm = gen_env_model()
    craft = asv_uncertain(1.0, 1.0, fm)
    weather_path = pp + "analysis/asv_transat/2016_jan_march.nc"
    diagram_path = pp + "analysis/asv_transat/results/"
    sd = datetime(2016, 1, 2, 6, 0)
    dist, bearing = haversine(start.long, start.lat,
                              finish.long, finish.lat)
    nodes = 60
    node_distance = 4000*dist/nodes
    r = Route(start, finish, nodes, nodes,
              node_distance*1000.0, craft)
    x, y, land = return_co_ords(r.start.long, r.finish.long,
                                r.start.lat, r.finish.lat,
                                r.n_ranks, r.n_width, r.d_node)
    tws, twd, wd, wh, wp = process_era5_weather(weather_path, x, y)
    for i in range(test_matrix.shape[0]):
        craft = asv_uncertain(test_matrix[i, 1], test_matrix[i, 0], fm)

        jt, et, x_r, y_r = min_time_calculate(r, sd, craft,
                                              x, y, land,
                                              tws, twd, wd, wh, wp)
        vt = datetime.fromtimestamp(jt) - sd
    results = np.array(fts)
    save_array = np.hstack((test_matrix, results[..., None]))
    with open(diagram_path+"unc_reliability_routing_"+strftime("""%Y-%m-%d
             'wb') as f:
        np.savetxt(f, save_array, delimiter='\t', fmt='%1.3f')
예제 #7
def asv_grid_error():
    Check convergence of solution.

    Using Maribot Vane performance estimates for the transatlantic voyage.
    start = Location(-2.3700, 50.256)
    finish = Location(-61.777, 17.038)
    fm = gen_env_model()
    craft = asv_uncertain(1.0, 1.0, fm)
    weather_path = pp + "analysis/asv_transat/2016_jan_march.nc"
    diagram_path = pp + "analysis/asv_transat/results/"
    sd = datetime(2016, 1, 1, 6, 0)
    dist, bearing = haversine(start.long, start.lat,
                              finish.long, finish.lat)
    nodes = np.array([640])
    times = []
    h_vals = []
    for count, node in enumerate(nodes):
        node_distance = 4000*dist/node
        r = Route(start, finish, node, node,
                  node_distance*1000.0, craft)
        x, y, land = return_co_ords(r.start.long, r.finish.long,
                                    r.start.lat, r.finish.lat,
                                    r.n_ranks, r.n_width, r.d_node)
        tws, twd, wd, wh, wp = process_era5_weather(weather_path, x, y)
        jt, et, x_r, y_r = min_time_calculate(r, sd, craft,
                                              x, y, land,
                                              tws, twd, wd, wh, wp)
        vt = datetime.fromtimestamp(jt) - sd
        print("Journey time is: ", vt)
        h_vals.append(calc_h(node, node_distance**2))
        vt = datetime.fromtimestamp(jt) - sd
        print(h_vals[-1], "  ", vt)
    h_vals, times = np.array(h_vals), np.array(times)
    with open(diagram_path+"asv_convergence_"+strftime("%Y-%m-%d %H:%M:%S",
                                                       gmtime())+".txt", 'wb') as f:
        np.savetxt(f, np.c_[nodes, h_vals, times], delimiter='\t')
예제 #8
def run_simulation_over_days():
    """Run transat routing simulations."""
    # Specify the bounds of the whole region
    lon1 = -59.9
    lat1 = -1.77
    lon2 = -6.4
    lat2 = 61.5
    start = Location(-12.0, 45.0)
    finish = Location(-60.0, 17.5)
    fm = gen_env_model()
    craft = asv_uncertain(1.0, 0.89, fm)
    n_nodes = 40
    n_width = n_nodes
    print("Nodes in rank: ", n_nodes)
    print("Nodes in width: ", n_width)
    dist, bearing = haversine(start.long, start.lat,
                              finish.long, finish.lat)
    node_distance = 4000*dist/n_width
    print("Node height distance is ", dist/n_nodes*1000, " m")
    print("Node width distance is ", node_distance, " m")
    area = node_distance*dist/n_nodes*1000
    total_area = n_nodes * n_width * area
    h = (1/(n_nodes * n_width) * total_area)**0.5
    print("h = {0} ".format(h))
    r = Route(start, finish, n_nodes, n_width,
              node_distance, craft)
    weather_path = pp + "analysis/asv_transat/2016_jan_march.nc"
    dia_path = pp + "analysis/asv_transat/results/"
    sd = datetime(2008, 1, 2, 6, 0)
    ed = datetime(2008, 1, 3, 6, 0)
    dt = [d for d in datetime_range(sd, ed, {'days': 1, 'hours': 0})]
    x, y, land = return_co_ords(r.start.long, r.finish.long,
                                r.start.lat, r.finish.lat,
                                r.n_ranks, r.n_width, r.d_node)
    tws, twd, wd, wh, wp = process_era5_weather(weather_path, x, y)
    tws = change_area_values(tws, 15.0, lon1, lat1, lon2, lat2)
    twd = change_area_values(twd, 0.0, lon1, lat1, lon2, lat2)
    wd = change_area_values(wd, 0.0, lon1, lat1, lon2, lat2)
    wh = change_area_values(wh, 0.0, lon1, lat1, lon2, lat2)
    a2 = 5.0
    lon1_area2 = -40.0-a2
    lon2_area2 = -40.0+a2
    lat1_area2 = 33.0-a2
    lat2_area2 = 33.0+a2
    wh = change_area_values(wh, 4.0, lon1_area2, lat1_area2, lon2_area2,
    a1 = 3.0
    lon1_area1 = -40.0-a1
    lon2_area1 = -40.0+a1
    lat1_area1 = 33.0-a1
    lat2_area1 = 33.0+a1
    wd = change_area_values(wd, 240.0, lon1_area1, lat1_area1,
                            lon2_area1, lat2_area1)
    for t in dt:
        jt, et, x_r, y_r = min_time_calculate(r, t, craft,
                                              x, y, land,
                                              tws, twd, wd, wh, wp)
        vt = datetime.fromtimestamp(jt) - t
        print("Journey time is: ", vt)
        fill = 10
        string = str(t)+"_"+str(craft.apf)+"_"+str(craft.unc)+"_"+str(n_nodes)
        plot_failure_route(t, r, x, y, x_r, y_r,
                           et, jt, fill,
예제 #9
def failure_controlled_weather():
    """Load weather file for simulations."""
    rel_levels = np.array([0.81, 0.95, 1.0])
    unc_levels = np.array([1.0])
    test_matrix = np.array(np.meshgrid(rel_levels,
                                       unc_levels)).T.reshape(-1, 2)
    fts = []
    start = Location(-2.3700, 50.256)
    finish = Location(-61.777, 17.038)
    fm = gen_env_model()
    craft = asv_uncertain(1.0, 1.0, fm)
    weather_path = pp + "analysis/asv_transat/2016_jan_march.nc"
    diagram_path = pp + "analysis/failure_model/"
    sd = datetime(2008, 1, 2, 6, 0)
    dist, bearing = haversine(start.long, start.lat, finish.long, finish.lat)
    nodes = 20
    node_distance = 4000 * dist / nodes
    r = Route(start, finish, nodes, nodes, node_distance * 1000.0, craft)
    x, y, land = return_co_ords(r.start.long, r.finish.long, r.start.lat,
                                r.finish.lat, r.n_ranks, r.n_width, r.d_node)
    tws, twd, wd, wh, wp = process_era5_weather(weather_path, x, y)
    # Alter the weather for the entire domain
    lon1 = -59.9
    lat1 = -1.77
    lon2 = -6.4
    lat2 = 61.5
    tws = change_area_values(tws, 15.0, lon1, lat1, lon2, lat2)
    twd = change_area_values(twd, 270.0, lon1, lat1, lon2, lat2)
    #  Alter the wave conditions
    wd = change_area_values(wd, 90.0, lon1, lat1, lon2, lat2)
    wh = change_area_values(wh, 0.0, lon1, lat1, lon2, lat2)

    # # Alter the weather for the smaller area
    a1 = 3.0
    lon1_area1 = -40.0 - a1
    lon2_area1 = -40.0 + a1
    lat1_area1 = 33.0 - a1
    lat2_area1 = 33.0 + a1
    wd = change_area_values(wd, 180.0, lon1_area1, lat1_area1, lon2_area1,
    a2 = 5.0
    lon1_area2 = -40.0 - a2
    lon2_area2 = -40.0 + a2
    lat1_area2 = 33.0 - a2
    lat2_area2 = 33.0 + a2
    wh = change_area_values(wh, 4.0, lon1_area2, lat1_area2, lon2_area2,

    for i in range(test_matrix.shape[0]):
        craft = asv_uncertain(test_matrix[i, 1], test_matrix[i, 0], fm)

        jt, et, x_r, y_r = min_time_calculate(r, sd, craft, x, y, land, tws,
                                              twd, wd, wh, wp)
        vt = datetime.fromtimestamp(jt) - sd
    results = np.array(fts)
    save_array = np.hstack((test_matrix, results[..., None]))
    with open(
            diagram_path + "control_" +
            strftime("""%Y-%m-%d %H:%M:%S""", gmtime()) + ".txt", 'wb') as f:
        np.savetxt(f, save_array, delimiter='\t', fmt='%1.3f')